Sunday, December 30, 2012

Reader's Workshop for The Great Gatsby

It's Lesson Planning time....

The essential skills:
What are the best aspects of literature to teach with Gatsby?

  • Setting
    • History
    • Description
  • Narrative Voice
    • Why would Fitzgerald choose this voice?
    • The role of the narrator? What's he for?
  • Theme
    • The American Dream
    • Gluttony of Wealth
    • The appeal of social climbing
    • American Caste system?

Bare bones structure of how the Workshop will work (Hah! I laugh at the redundancy of that).
We read The Great Gatsby as a mentor text practicing all of the essential skills, then students read their own novel of choosing. Something from the time period or about the time period (I want to make a list for students to choose from).

My ideas for how this workshop will work are very much based on Cris Tovani's work and helped by Kelly Galagher. The mini-lessons will primarily follow the Big Read (linked below) only condensed.

I intend to give a pre-assessment and and a post-assessment so that I can see where I'm landing as far as teaching. I feel like I need to have the data to back-up my teaching. I also need to pull the Common Core Standards to align with this plan.

The Great Gatsby Movie Trailer
SCC English Gatsby ShowMe
Dumbing Down Gatsby
American Dream in Gatsby
The Great Gatsby Big Read

I had to add this video! I just found this and it's AWESOME!
Crash Course Literature The Great Gatsby 1
Crash Course Literature The Great Gatsby 2

Friday, December 14, 2012

== Data records from another source follow ==
........
Starting from a cell relaxed with PBE, the XRD peak list of Pm2Tm3Zn3 was simulated for Cu Ka.

Structure:
a b c (Å): 3.6189 5.0906 21.5976
angles (deg): 90.00 90.00 90.00
Space group Immm (No. 71)
One atom of each set of equivalent atoms:
Pm  0.0000  0.0000  0.2271
Tm  0.0000  0.0000  0.0000
Tm  0.0000  0.5000  0.1147
Zn  0.0000  0.0000  0.5000
Zn  0.0000  0.5000  0.3893

Most intense lines, 10° ≤ 2θ ≤ 80°, low angle first:
- (1 0 1), 24.95°, rel. 10
- (0 1 5), 27.07°, rel. 22
........

Classroom Management in a Post-Civil Society

Piles of books have been written on classroom management. Student teachers across the US have been gifted with Harry Wong's First Days of School and if they've begun teaching in the last 5 years, they've quickly realized that there is much more to classroom management than the good Dr. Wong ever talked about. He makes wonderful points, and I use many of his strategies. However, the face of society is changing and that means classroom management is changing.

The days of "sit down and shut up" while the all-knowledgeable teacher talks are quickly disappearing and many teachers are losing their handle on their classrooms much more often than they ever did in the past. Just ask them. Any teacher in my building will quickly tell you that students today are much harder to control than they were just 5 years ago. Tried and true methods like proximity don't work anymore. Threatening a student with a trip to the office to meet with the principal doesn't matter. ISS and OSS just mean more free-time for at-risk students to run enterprising small business, rabble rouse, wreak havoc in their family homes and otherwise educate themselves in the ways of the world. THere really isn't anything scary about authority to these students. They don't even consider the adult vision of authority to be authority, so why would they care if a well meaning teacher moves them to a desk next to their own or sends them to the office. Why are students so hard to handle these days?

The American culture  of civility is disintegrating. This is evidenced by the loss of manners in public, the idea that life is a joke and must be lived for the thrill, and an education that is not considered valuable. More importantly the structure of the family is falling apart, and therefore kids have no concept of authority. School should teach them the value of authority, but really school just creates a united front for the family unit to rebel against, especially for students in poverty.

Proximity as a tool for management no longer works. Test it and see. The adage is "move into the proximity of a student misbehaving and the majority will stop what they're doing." But, try it. Move into their sphere and many won't notice your presence (adults are not authority figures unless respect has been earned), many  misbehaving students will attempt to engage the teacher in what they are doing that is distracting the class, and a few will become belligerent, further distracting the class.

Students to whom ISS is given as punishment see it as a mere 7 hour study hall. There is no threat in that. OSS is even less scary. Granted for a good kid who has never been in trouble, OSS may seem like a big deal and will probably bring that student into line very quickly, but for a repeat offender, at-risk student there is no real punishment in being sent home for several days.

So, how can a teacher continue to teach without having a veritable zoo in his or her classroom? There are two major ways a teacher can create an atmosphere where his or her authority is accepted. Those two ways are fairly simple create relationship and build community.

Creating relationship--
How does a teacher create relationship? In my classroom, I greet students at the door. I learn their names as quickly as possible. My syllabus clearly states that I will treat them with respect. I teach mostly upperclassmen, so I state that I expect adult-like behavior for adult-like treatment. I am careful to let them know that I care about them. I give them feedback on their work in the form of handwritten notes and reactions to their writing. I take the time to listen to them when they need to talk. I tell jokes. I  introduce them to my life and who I am. I attend sporting events with all three children and husband in tow. I go to the school play. I do whatever I can to let the students know that I care about their real life and that I have a real life as well.

Building Community--
Building community begins with a teacher who creates relationship and moves beyond that into the actual pedagogy of the classroom. The content of an English classroom does not lend itself as well as some to a lot of collaboration, but I practice it at every possible moment. Students freewrite at the beginning of class three times a week. After they freewrite they share a line or two from their freewrites and listen to each other share. That 5 to 10 minutes at the beginning of class alone creates a community of thinkers and creators. Another community builder is getting rid of individual desks. I know not every school is able to do that, but having tables where students sit together in groups daily creates an atmosphere of collaboration and community immediately.

I'm sure I've missed things in this short post. I'm still thinking about this concept. It's worth researching and digging into at length. It could even make a wonderful doctoral thesis not that I ever thought I wanted to get a doctorate.

Monday, December 10, 2012

Think like a student!

........
Entry 1:
Starting from a DFT-relaxed cell (PBE, Alexandria), the PXRD pattern of GaSb2H2Pt7 was computed for Cu Kα (λ = 1.5418 Å).

Top 10 peaks for 2θ = 5–70°, low angle first:
| d [Å] | 2theta | I_rel |
| --- | --- | --- |
| 11.629 | 7.6 | 55.9 |
| 3.944 | 22.5 | 27.0 |
| 2.697 | 33.2 | 25.8 |
| 2.579 | 34.8 | 20.8 |
| 2.542 | 35.3 | 33.0 |
| 2.503 | 35.9 | 27.5 |
| 2.340 | 38.5 | 52.3 |
| 2.273 | 39.6 | 43.3 |
| 2.255 | 40.0 | 100.0 |
| 1.994 | 45.5 | 87.6 |

Structure:
Unit cell a=3.9906 b=3.9906 c=11.8987 alpha=98.75 beta=98.75 gamma=88.03
Fractional coordinates of all 12 atoms:
Ga  0.0000  0.0000  0.0000
Sb  0.2167  0.2167  0.4168
Sb  0.7833  0.7833  0.5832
H  0.1399  0.1399  0.7459
H  0.8601  0.8601  0.2541
Pt  0.0761  0.5620  0.1657
Pt  0.3746  0.3746  0.6516
Pt  0.4380  0.9239  0.8343
Pt  0.5000  0.5000  0.0000
Pt  0.5620  0.0761  0.1657
Pt  0.6254  0.6254  0.3484
Pt  0.9239  0.4380  0.8343

***

Entry 2:
Starting from a DFT-relaxed cell (PBE, Alexandria), the PXRD pattern of Rb2GaH3 was computed for Cu Kα (λ = 1.5418 Å).

Top 10 peaks for 2θ = 5–70°, low angle first:
| d [Å] | 2theta | I_rel |
| --- | --- | --- |
| 4.321 | 20.6 | 19.7 |
| 4.265 | 20.8 | 45.4 |
| 3.792 | 23.5 | 67.7 |
| 3.215 | 27.7 | 100.0 |
| 2.979 | 30.0 | 95.7 |
| 2.955 | 30.2 | 24.4 |
| 2.407 | 37.4 | 20.8 |
| 2.379 | 37.8 | 33.3 |
| 2.133 | 42.4 | 19.0 |
| 1.764 | 51.8 | 33.3 |

Structure:
Unit cell a=9.8912 b=9.6164 c=6.4013 alpha=73.18 beta=68.54 gamma=38.28
Fractional coordinates of all 12 atoms:
Rb  0.2217  0.7783  0.2217
Rb  0.2500  0.2500  0.2500
Rb  0.7500  0.7500  0.7500
Rb  0.7783  0.2217  0.7783
Ga  0.3616  0.3616  0.6384
Ga  0.6384  0.6384  0.3616
H  0.2421  0.5701  0.7579
H  0.2698  0.2698  0.7302
H  0.4299  0.7579  0.5701
H  0.5701  0.2421  0.4299
H  0.7302  0.7302  0.2698
H  0.7579  0.4299  0.2421

***

Entry 3:
Starting from a DFT-relaxed cell (PBE, Alexandria), the PXRD pattern of Rb2Ga2H7 was computed for Cu Kα (λ = 1.5418 Å).

Top 10 peaks for 2θ = 5–70°, low angle first:
| d [Å] | 2theta | I_rel |
| --- | --- | --- |
| 3.663 | 24.3 | 81.9 |
| 3.467 | 25.7 | 64.5 |
| 3.300 | 27.0 | 100.0 |
| 2.934 | 30.5 | 38.1 |
| 2.736 | 32.7 | 32.0 |
| 2.519 | 35.6 | 20.7 |
| 2.389 | 37.6 | 22.2 |
| 2.240 | 40.3 | 37.8 |
| 1.968 | 46.1 | 28.5 |
| 1.702 | 53.9 | 15.2 |

Structure:
Unit cell a=5.1231 b=13.8679 c=5.5826 alpha=90.00 beta=90.70 gamma=90.00
Fractional coordinates of all 22 atoms:
Rb  0.1787  0.1336  0.1606
Rb  0.1787  0.3664  0.6606
Rb  0.8213  0.6336  0.3394
Rb  0.8213  0.8664  0.8394
Ga  0.3685  0.6110  0.8577
Ga  0.3685  0.8890  0.3577
Ga  0.6315  0.1110  0.6423
Ga  0.6315  0.3890  0.1423
H  0.1570  0.6846  0.9657
H  0.1570  0.8154  0.4657
H  0.2855  0.5739  0.5925
H  0.2855  0.9261  0.0925
H  0.3581  0.1683  0.6686
H  0.3581  0.3317  0.1686
H  0.5000  0.0000  0.5000
H  0.5000  0.5000  0.0000
H  0.6419  0.6683  0.8314
H  0.6419  0.8317  0.3314
H  0.7145  0.0739  0.9075
H  0.7145  0.4261  0.4075
H  0.8430  0.1846  0.5343
H  0.8430  0.3154  0.0343
........

Can we please stop thinking like adults and experience the digital world from our student's perspectives? They know nothing of a telephone with a cord. They have not lived without the internet or access to a computer. They don't hand-write first and then type. They know only a world of digital technology.

# 1
This entry pairs a crystal structure of ThCuSi3 with its theoretical powder diffraction line list. Radiation: Cu Kα X-rays. Structure: the PBE geometry in Alexandria.
Peak positions follow from Bragg's law for the DFT cell and can differ from measured ones.

Most intense lines, 5° ≤ 2θ ≤ 70°, sorted by position:
2θ = 8.41°, intensity 40; 2θ = 16.87°, intensity 26; 2θ = 25.00°, intensity 33; 2θ = 33.01°, intensity 100; 2θ = 33.34°, intensity 40; 2θ = 43.20°, intensity 19; 2θ = 44.55°, intensity 25; 2θ = 56.12°, intensity 20

Cell and atoms:
a = 10.7117 Å, b = 10.7117 Å, c = 4.1888 Å
α = 90.00°, β = 90.00°, γ = 157.73°
Sites, in units of the cell vectors:
Th  0.1678  0.8322  0.0000
Th  0.8322  0.1678  0.0000
Cu  0.3901  0.6099  0.5000
Cu  0.6099  0.3901  0.5000
Si  0.0550  0.9450  0.5000
Si  0.2784  0.7216  0.5000
Si  0.4444  0.5556  0.0000
Si  0.5556  0.4444  0.0000
Si  0.7216  0.2784  0.5000
Si  0.9450  0.0550  0.5000



# 2
This entry pairs a crystal structure of RhPb5 with its theoretical powder diffraction line list. Radiation: Cu Kα X-rays. Structure: the PBE geometry in Alexandria.
Peak positions follow from Bragg's law for the DFT cell and can differ from measured ones.

Most intense lines, 5° ≤ 2θ ≤ 70°, sorted by position:
2θ = 28.87°, intensity 21; 2θ = 32.48°, intensity 100; 2θ = 32.94°, intensity 15; 2θ = 36.59°, intensity 49; 2θ = 50.05°, intensity 19; 2θ = 52.71°, intensity 18; 2θ = 60.67°, intensity 15; 2θ = 63.30°, intensity 30

Cell and atoms:
a = 3.4729 Å, b = 3.4729 Å, c = 13.5940 Å
α = 90.00°, β = 90.00°, γ = 90.00°
Sites, in units of the cell vectors:
Rh  0.0000  0.0000  0.0000
Pb  0.0000  0.0000  0.3177
Pb  0.0000  0.0000  0.6823
Pb  0.5000  0.5000  0.1213
Pb  0.5000  0.5000  0.5000
Pb  0.5000  0.5000  0.8787



# 3
This entry pairs a crystal structure of BaCa2Ga with its theoretical powder diffraction line list. Radiation: Cu Kα X-rays. Structure: the PBE geometry in Alexandria.
Peak positions follow from Bragg's law for the DFT cell and can differ from measured ones.

Most intense lines, 5° ≤ 2θ ≤ 70°, sorted by position:
2θ = 18.22°, intensity 36; 2θ = 19.90°, intensity 31; 2θ = 27.11°, intensity 100; 2θ = 28.48°, intensity 83; 2θ = 29.16°, intensity 57; 2θ = 34.17°, intensity 36; 2θ = 40.58°, intensity 28; 2θ = 45.53°, intensity 33

Cell and atoms:
a = 7.0292 Å, b = 7.0292 Å, c = 8.9212 Å
α = 90.00°, β = 90.00°, γ = 136.17°
Sites, in units of the cell vectors:
Ba  0.0531  0.9469  0.7500
Ba  0.9469  0.0531  0.2500
Ca  0.3388  0.6612  0.5515
Ca  0.3388  0.6612  0.9485
Ca  0.6612  0.3388  0.0515
Ca  0.6612  0.3388  0.4485
Ga  0.2145  0.7855  0.2500
Ga  0.7855  0.2145  0.7500



# 4
This entry pairs a crystal structure of Pm5SbTe4 with its theoretical powder diffraction line list. Radiation: Cu Kα X-rays. Structure: the PBE geometry in Alexandria.
Peak positions follow from Bragg's law for the DFT cell and can differ from measured ones.

Most intense lines, 5° ≤ 2θ ≤ 70°, sorted by position:

Yes, we need to access our "organic" (my term for things non-tech) resources, and yes, it is important to see technology as a tool not the be all-end all. BUT teachers have to quite thinking about how they were taught or how they think and expecting students to think that way. They don't! They are a new breed of thinkers. Lecture doesn't cut it! For the most part worksheets do nothing. But just because you're using Google Docs to collect papers doesn't mean you're using the best technological practices. And, your projector is for more than the occasional movie day.

We were born and raised in the factory system we call school. You want to fix disengagement? Quite thinking like an adult. Seriously! Are we in the classroom to please ourselves, or are we in the classroom to raise the future generations of world changers? If our purpose for being teachers is student-centered then our thinking must be student-centered.

My mentor teachers often comment that I am more tech savvy and used to technology than they, so all this is easy for me. But even I who graduated from high school 11 years ago have to work to forget the way I learned and teach to my students they way they learn. Thinking like a student is the only way we'll begin to figure out how to teach them. We shouldn't be dragging them back to the way we were taught. We should be leaping them forward.

Big news! Migration and disclaimer.

So, it was time for a move. I needed to separate this blog from my school account because I need a place to talk about school reform and not appear to be speaking for my place of employment. I know that anyone reading this can figure out where I teach. I don't hide it, but I'm not speaking for my school when I'm sounding off about reforms.

Sunday, July 15, 2012

After School Routine Checklist

Something I'm sporatic at at best is being routine about what I do when I leave my room. I found this great list and hope that I can pull it together a little better this year.

Middle School Math Rules!: After School Routine Checklist: I think it is really important to keep yourself and your classroom organized.  I was not a born organized person, but had to work hard to d...

Saturday, July 14, 2012

Revolutionize Secondary Education?

I've been reflecting on ways to change the High School day, so that students get the most out of their educational experiences. .. I mean everybody is reflecting on that right?

Anyway, I was floating around on Pinterest looking for things that I can use in my classroom. I was searching words like English, Secondary, High School, even classroom and was surprised to find very few secondary teachers of any subject on Pinterest. In fact if you do a random Google Blog search the majority of teacher bloggers are elementary teachers. This piqued my interest (and honestly made me a little annoyed. Are all HS teachers miserly with their ideas?). Why are there so many elementary teachers online and so few HS teachers? The short answer is we have no time in comparison to our primary counterparts. But the answer to that question was so clearly demonstrated to me by my daughter's teacher.

In the middle of July, my future, first-grader received a postcard from her Kindergarten teacher! How does that woman have time to do something as special as send a postcard to every student in the middle of the summer? Oh wait! She only had 18 students for a full year! 18 students! How many did I have? 145 at least. Can you imagine the hand cramp 145 handwritten postcards would cause? Neither can I that's why I never even thought of attempting it.

So, I had a thought! What if High School looked more like elementary? What if High school teachers had fewer students? What kind of difference could we make in a student's life if we didn't have so many of them wandering around that we struggle to remember their names on daily basis? Wouldn't that revolutionize learning?

I mean I could do a lot to shape 18 or 20 writers a year. I could really get to know their needs and help them grow as readers over the course of a school year. 

So. . . what if we organized high school like this. . .

Morning: Communication, Social Studies, Literature. All taught by one teacher.
Science and Math taught together by one teacher (probably not the same as the one who's teaching the morning classes, because I don't know about you, but I'm one of those English teachers who is NO good at math!)
Then afternoon is 2 hours specialized in whatever the student wants to specialize in.
I think that would be fantastic! Don't you?

Monday, April 30, 2012

Please don't become a teacher

Loved the blog linked above! Recently some students asked me if I believed that teacher should be allowed to conceal and carry on campus. I replied that if you could guarantee that all teachers were emotionally healthy and able to handle the pressures of an intruder situation, yes. But we cannot guarantee that every teacher is an emotionally healthy person let alone able to react well under the pressure of a live shooter in the building.

Tuesday, April 24, 2012

Random muttering.

I have been woefully negligent in posting this year. That does not mean that I'm not thinking about how to teach English or writing. I've just been doing it the old fashioned way in a notebook instead of here where I can share it with you. However, we're in the throws of EOC testing today and I am administering a test to my Honors freshmen and typing while I watch them struggle over testing company written passages and multiple choice questions that are randomly selected for maximum annoyance. So, since I'm watching students go cross-eyed and boggle minded I thought I would post on my poor neglected blog.

I want to make a difference in the field of education not just in students. I want to influence other teachers to do a better job as teachers sot hat fewer students leave our high schools fed up with education.I want to be an innovator in the field. I want to share what I am thinking about and trying in my classroom. That's a goal. BUT! And it's a giant BUT because it always gets in the way. Life happens. I had my third daughter in January. Nothing like maternity leave to throw off the rythym of the classroom. I've spent everyday since I've been back just trying to catch myself coming and going.
I don't know how many mom/teachers there are out there, but there is a reason I choose the teaching profession. I want to contribute to society and I want to raise well rounded healthy children. I want to be intellectually challenged and spend long periods of time at home with my children. I want to make and impact  on the lives of teenagers and impact my own children. The only way I could think of to do this was to become a teacher.
That's not to say I'm not passionate about what I do. Just the reverse actually. I am passionate about shaping future Americans. I teach English. I get to work on the way students think more than any other teacher. I get to walk into their hearts as well as their minds and touch them through the art of language. Language has power! Power to heal and bring life where there is no life. Can you see that I'm passionate?
I work in the best school in the US. I get frustrated when radio commentators rail at educators and the American education system as if we are all deserving of a whipping out behind the wood shed instead of acknowledging that some schools in the Midwest aren't bogged down by bureaucracy and we are trying. We're not all broken! Some of us are working well and pushing forward into the future with a good outlook. We're working to start the reforms that everybody talks about. Don't make broad blanket statements! They are usually lies.